Sunday, 22 April 2018

Speedos - Budgie Smugglers!

My Dear Fanny

How the devil are you? Phew what a week, it’s been rather hectic and knackering, but I’ve laughed loads till it hurt - will fill you in when I next see you.

However, before that I need to tell you that my piles have improved immensely and I didn’t need to ask Him Indoors to help! Thank the fuck for that, it could have turned really nasty and I wasn’t ready for THAT!

So, what’s brewing??? You mentioned something brewing but didn’t know what, is your wind playing up again? Or did you mean something else … pray tell, the suspense is killing me, you know I hate being held in suspense!!!

How’s the garden furniture? Must say it looks splendid. How long did it take Him to make it in the end? Must be a record for the slowest. Check out the Guinness Book of Records see if there is anyone slower - hahahaha.

But hey, you got it in good time for this beautiful weather, you lucky bugger. Bet your all bronzed off now and way before the holiday.

Hospitals - oh Lord tell me about it. Not the best places to visit, they're in there and life stops and there is no conversation. I remember every time I used to visit my Mother - I could have been on my way home after ten minutes. There is only so much you can talk about, but why is it they tell you blow for blow how many times they took a breath, how many meals they ate, how many times they passed wind, how many times they had a pee and how it happened, and how many bloody times they had a fricking shit! She used to do my head in … God rest her soul!

More recently I’ve been trundling up to the dreaded place, but have to say the time whizzed by and the conversation rolled. A much younger person so they have more interesting conversation, and having a good old laugh at the other patients in the ward with their grumbles.

Bowels I feel are my favourite subject, think I’m an expert. Need a question answering then ask me, I’m your man - got it, done it and living it!

OK so the week has been interesting to say the least, but I’ve had fun even though been worried and yes a little stressed, but above all it’s been lush!  Tired today but I am getting on a bit so I’m putting my feet up and doing fuck all!

I have to share this though, God I did nearly wee myself! You know we were chatting last time about speedos and budgie catchers, OMG Fanny, I got that all wrong. I was collecting my Grandson from school and listening to some young ladies (well young girls in my book) and they were talking about this chap who moved in over the road. He’s a PE Instructor (well I think that’s what they said) anyway, apparently he’s rather fit, and I mean FIT…. gorgeous and muscles and torso to die for. Anyway, he cuts the grass in his shorts and vest top and the muscles ripple, are you getting the picture? You talk about my tongue hanging out … hot under the collar and the nether regions, and this was only 3pm. Flaming Norah and good God, I need to see these delights!

Well, they mentioned budgie smugglers and I couldn’t keep my face straight. Fanny, I’ve been getting it all wrong and saying budgie catcher!!!!!!! What a plonker … no wonder my daughter looks at me funny! She knows I’m already strange but dear God - “Mother", she says, "it’s budgie smuggler not flaming catcher, the catchers are the apple catcher” – I think see means knickers (hahahah) does that mean a fat arse!

Lordy Lord I could keep rattling on forever, so best go. Him Indoors won’t shut up and I’m getting distracted.

Speak soon, must dash.

Your incredible, fun loving friend and every suffering

Morwenna xx

# Someone pasted molecular data at this point
[1]
A molecular structure, C5H12AlBF4N4O2 at a distorted geometry, computed with ωB97M-V/def2-TZVPD.

```
! RIJCOSX wB97M-V def2-TZVPD def2/J DEFGRID3
* xyz 0 1
C -1.537 -0.069 0.892
C -0.872 -1.137 -0.024
C 0.017 -0.564 -1.081
C -0.298 0.012 -2.267
N 0.881 0.348 -2.890
O 0.867 0.955 -4.124
C 1.940 0.022 -2.150
N 3.250 0.225 -2.523
N 1.413 -0.508 -1.058
B 2.267 -1.000 0.107
N 2.756 0.005 1.031
O 2.460 -2.344 0.171
H -2.614 -0.246 0.960
H -1.175 -0.243 1.910
H -1.350 0.963 0.593
H -0.250 -1.789 0.604
H -1.626 -1.755 -0.518
H -1.277 0.178 -2.690
H 1.355 1.784 -3.984
H 3.360 0.008 -3.513
H 3.897 -0.391 -2.041
H 2.589 -0.221 2.006
H 3.721 0.272 0.874
H 2.353 -2.669 1.076
F -3.930 3.110 4.441
Al -4.433 1.637 3.736
F -5.786 1.019 4.572
F -3.140 0.498 3.804
F -4.839 1.898 2.088
*
```

- E_HOMO (hartree) = -0.36521
- DFT total energy (Eh) = -1234.2785
- LUMO level (eV) = -1.44



[2]
2 unconnected molecules or ions with the total composition C3H4IN3 at a distorted geometry, computed with ωB97M-V/def2-TZVPD.

```
! RIJCOSX wB97M-V def2-TZVPD def2/J DEFGRID3
* xyz 0 1
C -0.631 0.212 1.932
C 0.219 0.231 -0.010
C -0.773 -0.810 -0.095
N 0.328 0.801 1.237
N -1.428 -0.634 1.090
N 0.934 0.554 -1.106
I 2.128 -0.991 -4.221
H -0.724 0.374 3.023
H -2.109 -1.340 1.414
H 0.614 0.218 -2.007
H 1.442 1.385 -1.255
*
```

- E_HOMO (alpha / beta) (hartree) = -0.30525 / -0.28492
- energy relative to the best compared isomer or geometry (same formula, charge and spin) (kcal/mol) = 64.20
- DFT total energy (Eh) = -578.5620
- LUMO level (alpha / beta) (eV) = -0.75 / -3.53



[3]
A molecular structure, C19H27Cl2N3STi at a distorted geometry, computed with ωB97M-V/def2-TZVPD.

```
! RIJCOSX wB97M-V def2-TZVPD def2/J DEFGRID3
* xyz 2 3
Ti -0.411 0.008 0.101
C -1.090 2.540 2.729
C -1.478 1.233 2.084
C -2.509 1.163 1.138
C -3.018 -0.067 0.709
C -2.439 -1.261 1.142
C -1.383 -1.227 2.047
C -0.938 0.015 2.531
H -1.756 2.735 3.574
H -1.185 3.378 2.041
H -0.071 2.514 3.112
H -3.001 2.078 0.832
H -3.915 -0.093 0.112
H -2.870 -2.206 0.849
H -0.975 -2.140 2.449
H -0.218 0.036 3.336
N 1.460 -0.017 -4.567
C -0.059 -0.002 -4.565
C -0.599 1.334 -3.978
C -1.512 1.288 -2.734
N -0.784 1.521 -1.418
C -2.341 0.011 -2.739
C -1.522 -1.274 -2.732
N -0.781 -1.510 -1.423
C -0.625 -1.331 -3.986
H 1.837 0.797 -5.045
H 1.821 -0.838 -5.043
H 1.839 -0.018 -3.599
H -0.299 0.003 -5.621
H -1.196 1.793 -4.763
H 0.229 2.028 -3.804
H -2.205 2.111 -2.854
H -1.181 2.332 -0.978
H 0.168 1.787 -1.625
H -2.970 0.012 -3.636
H -3.018 0.016 -1.896
H -2.224 -2.092 -2.842
H 0.174 -1.763 -1.640
H -1.163 -2.330 -0.988
H -1.241 -1.768 -4.769
H 0.188 -2.047 -3.827
Cl 1.672 0.004 1.537
C 3.247 0.007 0.756
C 4.385 0.006 1.535
C 5.610 0.004 0.890
C 5.678 0.005 -0.494
C 4.513 0.007 -1.245
Cl 4.636 0.006 -2.975
C 3.260 0.009 -0.631
S 1.736 0.013 -1.483
H 4.321 0.003 2.618
H 6.523 0.001 1.472
H 6.639 0.003 -0.996
*
```

- E_HOMO (alpha / beta) (hartree) = -0.47040 / -0.49755
# End of the molecular data

Sunday, 15 April 2018

Garden Furniture

********
No. 1
********

My dear Morwenna

So sorry to hear your piles are playing up again. You have my sympathy – I know what it’s like to have a bunch of grapes hanging out your arse. Hope the ointment is working – perhaps you might consider getting Himself to help out a little with the application!

Haven’t got too much to tell you at the moment, everything seems fairly quiet here. But there’s something brewing I feel – not sure not what, but it’s on the way.

The new garden furniture arrived this week. It’s been in the garage all week waiting for Him to get his finger out and do something with it. It’s flat pack and that’s where the problems began. It took him an hour to put one stool together – I tell your Mor, a whole sodding hour for one small stool. We have four stools, four chairs and a table!!! We have 12 cushions, all the same size, and he says he’s not sure which one goes where!! Ffs Mor, I despair. I could go on, but I’ll just stop there cos I think you get the picture. I have my doubts that it will be ready for the summer. Might have to get out there and do it myself, but then he gets the right hump and says I’m taking over!

Went to visit a friend in hospital this morning. Why do you always run out of things to say in a hospital? We usually natter on ten to the dozen, but not this morning. She spent the entire visit telling me about her bowel movements – there's not much of a conversation to be had there, to be honest.

Oh well my love, better go and get on with the washing. It’s never ending, can’t believe they can all wear so many clothes – then I’ll have to iron the bloody lot cos no other bugger will do it.

Have a good week, and hope the piles let you sit down a bit. Speak soon.

Lots of Love
Myfanwy xx

Monday, 9 April 2018

Piles and Piles

Hello my dear Myfanwy

Well I must admit the salad spinner is possibly not the best idea. I’d hate to think of dribbles from soggy knickers ending up in someone’s cocktail!! Oh dear, perish the thought. As always, you set me straight!

Just back from our break and the weather hasn’t been good. But hey-ho we live in England and nothing is ever straight forward. One can’t book the weather - I’ve tried on many occasion but can’t find anyone who wants to take my booking. I best keep looking, one day I’ll find someone, to be sure.

I see you managed to get yourself soaked. Well you did always enjoy a good old wet t-shirt party when you were in your youth. Mind you, don’t think much has changed - pretending to take an umbrella that wasn’t broken, well heard everything now (hahaha).

About your coat! You need to read the instructions when you buy such items, mist proof does not cut waterproof. Take me with you next time, I like a good old examination.

Talking of which, I had to visit the doc this week. Piles …. hum yes bloody piles. Talk about teeth marks on the toilet seat … my dentures are still attached to it. Oh my flaming God and all creation, I wouldn’t wish these on my worst enemy. So off I trot to the doc and had to have them looked at. Oh my word, these doctors are not only getting younger but even more handsome. The one I saw was fresh out of nappies, and yes I had to bare it all!

Oh lord, not a pretty sight I have to say, and the way they get you to twist your legs about well I’m a contortionist now. I think I could meet myself coming backwards!

-- Here the page breaks off for data records --
Entry 1:
-- So much for the data records --

You will be pleased to know I got some ointment, a bit tricky putting it on but I’ll get the hang of it I’m sure. Well I guess this got a bit too explicit but one likes a good old rummage round in the nether regions, especially when it’s a good looking chap - one can only dream!

Well, time to make dinner. Hummmmm, don’t feel like much after talking about me nether regions!

Speak soon you old bugger – missing you heaps. Must have a date day soon.

Yours always and suffering
Morwenna x

Horse Shit

Dear Mor For God sake get some bloody teeth – I’m not going out with you until you get some. Must just tell you this – there was this wo...